(2009/11) November 2009 MTB

Wana ask, any1 of your babies still got this Moro reflex? means during sleep, startled easily with arms flexing up?

Cos mine used to have during newborn to mth old and swaddling helps. He grow out of it in 1 n 2 mth but now is back...
i dun wanna swaddle him, n he's so strong now too to pull away the swaddle.

[Inserted here: quantum chemistry results]
- - -
P | Entry from OMol25: an isolated molecule of C3H3ClO (ωB97M-V/def2-TZVPD).

Calculated values
SMILES: C=C(Cl)C=O
Net charge: 0
LUMO energy: 0.00895 hartree
HOMO level: -0.379 Eh

Bonds (Å) are listed after each position.
Atoms and positions in Å:
1 C 0.430 -0.118 0.120  C2 1.292, C3 1.514, Cl8 1.820
2 C -0.212 -1.193 0.438  C1 1.292, H4 1.093, H5 1.051
3 C -0.160 1.008 -0.702  C1 1.514, H6 1.229, O7 1.214
4 H 0.021 -1.917 1.222  C2 1.093
5 H -1.203 -1.159 0.091  C2 1.051
6 H -0.263 2.054 -0.065  C3 1.229
7 O -0.642 0.788 -1.794  C3 1.214
8 Cl 2.030 0.537 0.690  C1 1.820

=====

Q | Entry from OMol25: a cluster of 2 separate species, C3H3ClO in total (ωB97M-V/def2-TZVPD).

Calculated values
Net charge: 0
LUMO energy (alpha / beta): -0.06187 / -0.06185 hartree
HOMO level (alpha / beta): -0.372 / -0.372 Eh

Bonds (Å) are listed after each position.
Atoms and positions in Å:
1 C 0.099 0.017 -0.048  C2 1.286, C3 1.458, O4 1.335
2 C 0.818 1.082 -0.006  C1 1.286, H6 1.038
3 C -1.179 -0.679 0.055  C1 1.458, O4 1.418, H7 1.038, H8 1.023
4 O 0.066 -1.310 -0.197  C1 1.335, C3 1.418
5 Cl 3.106 0.120 -0.006  no bonds
6 H 0.579 2.085 -0.126  C2 1.038
7 H -1.594 -0.554 0.998  C3 1.038
8 H -1.895 -0.761 -0.670  C3 1.023

=====

R | Entry from OMol25: an isolated molecule of C3H3ClO (ωB97M-V/def2-TZVPD).

Calculated values
SMILES: C=C(Cl)C=O
Net charge: 0
LUMO energy: -0.01390 hartree
HOMO level: -0.376 Eh
- - -

It is a peaceful CNY cause can't go back Msia and celebrate in SG. Basically stay at home except went to Jurong Point on 1st and 2nd day of CNY to have "restaurant" lunch (fish & co and korean). Today 3rd day, will be going to my HOD for visiting and steamboat. Hopefully my gal will be guai guai.

These few days my gal likes to talk alot, when her daddy hold her standing, she keep "talking" till screaming type, so fierce!!!
taurus, yes i got married when i was 24...didnt have kids till i was almost 30...but prefer it this way la, at least we have our fair share of er ren shi jie before the kids come along! maybe ur boy absorbed all the milk liao, thas why not much pee?! how much water do u feed ur boy daily?

kimifin, mine only have this reflex sometimes but i still swaddle her tightly when she zzz
my boy very tired out .. hes been slping for full night these 2 days .. ard 10-12 hrs at night think he too over simulated also ... anyway my hb also no v day pressie oso no flopwers not even a nary plastic one bleahz .. he says married le gt kids le so dont need .. bleahz .. i rom him 3 yrs ago got married 2 yrs ago and have his kiddo last yr .. ever since rom no flowers le .. haiz ..
Hi mummies, happy new yr!

hais my boy fell sick after visiting.. Think caught a bug from someone, coughing n sneezing with mucus.. No dr summore.. Clinics closed.. Super sad la, felt like a bad mummy, nv take good care of him

mummies who are breastfeeding, do u give ur bb water? Really confused leh, books n other sources say better dun give but others say give... My boy's pooing like not regular leh... Though it's watery but not seedy... Is there something wrong.. Help!
ayukie, wow...ur boy can koon 10 to 12 hrs at nite...thas good...he must really be very tired!

min, u can bring ur boy to those 24hrs GP if he's sick during public holidays... i dun give my bb water as bm is 60 to 70% water...think too much water for bfed bb also no good... ur "others who said need to feed water" isit those aunties tha u saw during cny ah?! hahha... i met many of those ah! i got one aunty who was against me bfing my #1, said bfed bb very skinny but i proved her wrong cuz i beefed up my #1 to a big boy even tho he was born small... tha day she saw my gal, asked me still no FM? i told her yes, fully bfed, she juz smiled and said very good and kept touching my gal's bak bak thighs...hahha
My boy still easily startle even now but i didn't swaddle him since 2-3 weeks old. Let him sleep on his tummy which he feels very secure and can sleep better.

I didn't measure the amount of water i fed as i feed with a spoon but is very little perhaps less than 5ml. And i didn't feed him water after every feed, perhaps only 3 times per day. Wow so u er reng shi jie for 5yrs. I only er reng shi jie for 1 yr cause i married at 27.

For me i need to give water even i'm fully breastfeeding as my boy pee very little and he often feel warm. He's on the heaty side. If ur baby's urine is dark yellow then is better to give him some water. Cause their urine should be clear light yellow.

Is like that when u have kids, there's no more celebration for valentine's day sometimes even birthday.
sporty, taurus, ya. my poor girl also passed around like ball. then cannot sleep very well when outside. today, by evening time, she got really cranky. the minute i got back, put her in her cot and she cry a bit then KO. poor girl...

kimifin, like taurus, i let my girl sleep on her tummy. it helps a lot. she doesn't startle as easily, and she sleeps better too.
hello, anyone know if we can keep the formula powder for more than one month once opened?
cos at birth i got one tin as back up, but then only latch on and total breastfeed, but the formula opened already, till now three months, hmm, dunno if can keep or must throw, so wasted
taurus, i noticed my gal got less pee than before, does it mean tha she's heaty?! but then i cant really tell whats the color of my gal's pee from her diaper leh...other than being er ren shi jie for 5 yrs, we wanna make sure tha our kids will live a more comfy life before we decided to have one la...cuz dun want them to slog with us during initial yrs...hehe...

myboyjovan, its recommended tha u throw away the FM after 1 mth la... urs already 3 mths i think better throw la...
i just throw away 600ml of ebm, this morning with yesterday's throwing adds up to abt 1 litre le cause dont smells soo gd .. so tempted to feed the plants instead but i scare dont smells gd wait my late granny plants kennaed harmed ..
ayukie you should have feed the plants.... they will be very pui pui one..... my mum's plants also pui pui after being fed with ebm but now my #2 the plants don't get to "drink" much bm cos my #1 drank the excess....
Min, no need to give baby water if on TBF. cos bm contains a lot of water liao. too much water intake will cause sodium imbalance in babies. no good. but sometimes i do give one or 2 teaspoon a day to clean the tongue. it's ok to give in very very small qty if you really want to.

Ayukie, i also wasted my ebm. but not as much as yours. i spilt 50ml. heartpain ah!!

gals, i noticed that my ebm colour has changed to a darker yellow. it used to be more white but now more yellow. I will express the milk out and leave at room temp for max 4 hours. and noticed recently that the colour quite yellowish. normal?
No it doesn't really mean she's heaty with less urine. Like what u said maybe they absorb really well thus less urine. But for my boy he always feel really warm till my husband thought he's having fever and his urine was dark yellow (managed to see it when he pee during diaper change or washing his butt at the sink) so had to give him water. Plus i brought him to see TCM and yishi also said his body is quite heaty. Yesterday half an hr later after feeding him water he pee and his urine was clear light yellow cause he pee during diaper change. Books all said no need to give water for breastfeeding but i feel it depends on each individual babies' health. If baby is not urinating much and urine is dark yellow (the ammonia smell is quite strong when is dark yellow color) then there's no harm to give some water. Just make sure not to give too much.
mummies, if my BB dun wanna drink warmed EBM, can i keep back in fridge if its been left out in room temp. for 4 hours? dunno why these few days bb reject bottle and every time i discard so heart pain..already 3 bottles of 100ml each all thrown away cos bb dun wanna drink *sigh*
morning all...
back to work today...arrgghh

ayukie, dun heartache la, u can produce more than 600ml definitely! jia you

rachelle, the content of the bm will change with the growth of bb...sometimes my bm can be more "concentrated" than other days...i read,after eating food like banana will make ur bm more thick and concentrated...

taurus, what i worry is tha i tend to eat alot of heaty food...i worry my #1 and #2 will be heaty after drinking my bm...

ardenz, if u warmed the ebm liao, better dun keep back into fridge cuz there's already a temp change in the milk... think maybe u have been latching during cny period? so bb prefers latching? my gal also like tha...abit bo shim to drink frm bottle these few days, kept wanting to latch...
sporty, ya ya becos of the holidays been latching bb all the way, now she dun wanna bottle liao.......im thinking i may just warm half feed so if bb dun drink and need to throw not so wasted..
ardenz, ya lor...good idea! i'm slowly training my gal to take bottle again as she always cannot finish her bottle feed these few days...
Hi Ladies =)

Blessed CNY ...Wish all an awesome start to a roaring Tiger year!!!

Wow i see alot of you had quite a time visiting. Thank goodness for mine we had "consolidated" visiting hee heee so only 2-3 places to go!

Ayukie: I've oso the same prob. Nowadays i smell the EMB b4 i feed & it does smell weird but when i taste it ( now i qc abit, coz i rem someone din know the EMB was not good liao den feed to bb) anyway when i taste it, its ok le..not sour or anything.. So i oso confused on whether to feed or throw..so heartpain coz now my ss goin abit down due to working hours. So prob start to take the Mother's milk tea soon again!

_Records of molecules, kept here for reference_
=====
[1]
Entry from OMol25: one molecule with the formula C4H5N3O in a non-equilibrium geometry (ωB97M-V/def2-TZVPD).

The geometry in XYZ format:
```
13
Properties=species:S:1:pos:R:3:lowdin_charge:R:1
N 3.013 -0.316 -0.144 0.15
C 1.818 -0.369 0.100 -0.10
C 0.378 -0.340 0.261 -0.33
N -0.149 -1.435 -0.035 0.12
C -1.621 -1.239 -0.224 -0.15
C -1.795 0.247 0.031 -0.19
N -0.489 0.830 0.299 -0.22
O -0.105 2.012 -0.291 -0.05
H -2.209 -1.554 0.773 0.15
H -2.212 -1.695 -0.924 0.07
H -2.415 0.629 1.013 0.15
H -2.302 0.911 -0.880 0.16
H 0.666 2.273 0.498 0.23
```

Calculated values
**Net charge**: 0
**Energy relative to the best compared isomer or geometry (same formula, charge and spin)**: 144.6 kcal per mole
**Frontier orbital gap**: 9.087 eV
**Highest occupied orbital energy**: -0.330 Eh
**LUMO**: 0.1 eV
**Electronic energy**: -10741.346 eV
**2S+1**: 1
**SMILES**: N#CC1=NCCN1O

=====

[2]
Entry from OMol25: C50H55IN3O4S3SbSc as an isolated structure (ωB97M-V/def2-TZVPD).

The geometry in XYZ format:
```
118
Properties=species:S:1:pos:R:3:lowdin_charge:R:1
Sc -0.004 0.306 3.123 0.54
C 1.593 4.271 2.860 0.02
C 0.877 3.684 1.671 -0.18
N 0.676 4.080 -0.873 0.09
C -0.696 4.269 -0.869 -0.10
C -1.639 3.752 -0.066 -0.17
C -3.066 4.178 -0.341 -0.23
O -3.205 5.576 -0.560 -0.06
C -1.418 2.811 1.052 -0.12
C -2.262 1.702 1.191 -0.11
N -2.122 0.638 1.960 0.02
C -3.328 -0.064 2.132 -0.33
C -4.553 0.613 2.088 -0.03
C -5.769 -0.044 2.157 -0.08
C -5.806 -1.419 2.307 -0.09
C -4.608 -2.102 2.430 -0.12
C -3.379 -1.449 2.376 -0.46
I -1.640 0.332 5.472 0.10
C -0.376 2.970 1.968 -0.30
O -0.328 2.315 3.077 -0.18
H 2.095 5.198 2.582 0.09
H 2.335 3.590 3.283 0.10
H 0.868 4.480 3.645 0.09
H -1.025 4.937 -1.658 0.13
H -3.699 3.863 0.499 0.12
H -3.470 3.718 -1.245 0.09
H -2.791 6.014 0.193 0.09
H -3.142 1.713 0.541 0.09
H -4.548 1.694 2.057 0.11
H -6.683 0.534 2.118 0.10
H -6.743 -1.953 2.362 0.10
H -4.612 -3.171 2.589 0.09
S -2.054 -2.465 2.955 0.93
C -0.788 -2.463 1.747 -0.93
N -0.090 -1.454 1.343 0.00
C 0.999 -1.881 0.605 -0.36
C 1.894 -1.027 -0.036 -0.04
C 2.969 -1.580 -0.694 -0.07
C 3.136 -2.973 -0.758 -0.10
C 2.222 -3.828 -0.173 -0.09
C 1.148 -3.264 0.509 -0.49
S -0.175 -4.032 1.322 1.08
H 1.745 0.042 -0.004 0.09
H 3.679 -0.931 -1.185 0.11
H 3.985 -3.386 -1.285 0.11
H 2.346 -4.899 -0.223 0.12
C -1.551 -2.417 -4.651 -0.11
C -0.887 -2.136 -3.310 -0.70
C -1.377 -3.177 -2.303 -0.13
C 0.625 -2.318 -3.455 -0.13
Sb -1.152 -0.167 -2.355 1.64
C -3.326 0.148 -2.391 -0.70
C -3.834 -0.650 -1.187 -0.13
C -4.102 -0.257 -3.634 -0.11
C -3.592 1.623 -2.100 -0.15
C -0.261 1.196 -3.835 -0.71
C 1.215 1.267 -3.423 -0.15
C -0.359 0.802 -5.301 -0.12
C -0.843 2.600 -3.671 -0.13
H -1.166 -3.368 -5.036 0.08
H -1.352 -1.657 -5.405 0.05
H -2.630 -2.526 -4.564 0.06
H -1.101 -4.178 -2.652 0.09
H -2.458 -3.165 -2.191 0.06
H -0.932 -3.041 -1.320 0.04
H 0.832 -3.348 -3.762 0.09
H 1.153 -2.145 -2.516 0.05
H 1.053 -1.664 -4.212 0.06
H -3.676 -1.720 -1.285 0.06
H -4.911 -0.491 -1.064 0.09
H -3.348 -0.340 -0.265 0.04
=====
_The entry goes on_

Milk drinking: My gal has certain times whereby she oso dun wanna feed le.. like drink less.. though i force her anyway..i usu stop halfway den burp her rest awhile b4 i make her finish the rest

Flipping: my gal has began to flip too..while its comforting to know she is physically apt, it does pose a prob coz when she sleeps she keeps flipping to her tummy so really got to watch over her..in case her nose or something gets blocked.
aries but erm they smells nt like v nice leh .. altho pour toanother container smells ok .. maybe erm i will try nxt time bah haha think i gt quite some lol but soo heartpain wor
re: flipping .. ive been strapping my boy since the day before i found his head on his swing bed his body on the floor luckily i brought down the swing bed height so horrifying and i dont know how long hes been there think he too shagged out to cry so nw i strapped him up at night ..
ayukie, compared to throwing into the sink, it's less heartpain when you feed the plants lah.... hee.... my mum even feed her plants with the remaining of the formula milk that my #1 couldn't finish lor...... hee...
raerae, not to worry la...if ur gal learnt how to flip liao means her neck shd be quite strong...so no worries abt her unable to breathe lor...

today so quiet hor...everyone haven gone back to work eh?! :p
raerae, is ur office very quiet now? mine's quite quiet cuz most pple still on leave lor...even today on the train, not much crowd also...

ariesgal, fret not...my gal also cant flip yet...i also juz letting her take her own time to flip! think i more kan cheong when its #1's time abt development :p
Sporty: Yes!! We are like 50% only..so can slack slack abit lor..plus my boss is not around hahaha

Ariesgal: Yup agreed with Sporty ..fret not! anywayz our babies are out different times in terms of weeks so mayb tat plays a part!! hee hee
Hi gals, woke up with a horrible headache. hb was on leave today and wanted to go par tor but looks like now cannot liao. sigh...... I had panadol just now and I expressed my milk after tat also. wonder will my milk has the panadol and make my boy drowsy later haha

Ardenz, i read somewhr that it is ok to re-warm ebm if after you warm, baby doesn't want it provided that it is not opened and exposed to air. What I normally do is that i used the medela bott to warm.when baby wants to drink, then transfer to feeding bott. so, it is not exposed to air. I did this before. after warming, I left the milk in room temp for a while and then put in the fridge to keep. Cannot be too warm then put in fridge. not good. at least let it cool down a little. in any case, sometimes immediately we expressed out, we also put into the fridge mah. so it;s ok. so far, have been doing tat and no prob.

I read that the more you warm, th emore you are destroying the nutrients. so last time, i will put the bott in the warmer for quite sometime cos i tot just in case baby wakes up then no need gan cheong. but nowadays i try to warm as close to the feeding time as possible. if not possible then bo bian, let him cry a little while i warm. haha
raerae, ya lor...i also went out to kia kia and have looong lunch today :p

rachelle, hope ur headache's better after the panadol...pls rest more today!
Sporty: Where are u working? At least can go kia kia, i work in Bouna Vista, nothing much to kia le..the nearest is Holland V..Manzz i am SSOOOOOOOOO sleepy now. No one seems to b around the thread as well..Geezz..

Juz a random Qn, if u r breastfeeding and are not having ur period, how would u know u are pregnant?
raerae, i work at suntec area
thas why can go shop shop
actually u can see whether u got any discharge or not cuz rightfully when we are bfing, we shd be pretty "dry"... if not use pregnancy strips to test!
Sporty: Wow so shiok. Although one thing is if ur eye not good den will chalk up tonnes of bills.

Not that i think I am preggie but I am planning to try again sometime 3rd quarter of this yr..so wondering since i will b breastfeeding den how le?? Wat do u mean "dry" coz i do have whitish discharge from time to time ...

Where is everyone?!?!?!?!?!
Happy Chinese New Year to all mummies and babies!

I'm also a Nov 09 mummy and my gal was born on my birthday thru natural delivery! I have been a quiet follower in this forum... If it's ok, we will like to join u all in the weekend gathering.=)

1st Weekend gathering (with bbs and hbs)
Date : 7 March 2010 (Sunday)
Time : 11am to 3pm
Venue : Park Green Condo @ Rivervale Link (Seng Kang)
Organising Committee Members: Sporty, Devlina, Jolene428 & Melodie

1. melodie (2A + bb)
2. sporty (2A+ 1 tod+ bb)
3. mm6j (2A + bb) (KIV)
4. ayukie
5. verda
6. Alicia (2A+ bb)
7. Jane (2A + 1 toddler + bb)
8. Piggy
9. jolene428
10. devlina (2A+ bb)
11. ashley (2A + bb)
12. fieda (2A + bb)
13. Kimifin
14. shirlin
15. Mitsy
16. novbaby (2A+ bb)
17. Nicole (2A+bb)
18. Tanly (2A+bb)
19. Sharon Lee (2A+bb)
20. swanston (2A+bb) (KIV)
21. Xuanxuan (2A+bb)
rachelle, thanks for the advice will try that....usually i feed direct from the medela bottle that i pump ....i only change the medela teat to Nuk........btw any faster to warm up ebm? i use the pigeon warmer and it takes 6-8mins. but my bb is like a Big Boss will scream like mad if milk is late so end up i panic and latch then the warmed up ebm will supplement..usually bb cant finish so wasted....
Has anyone tried Motherlove More Milk Plus? Coz my ss is kinda low abt 240ml/6hrs which i think will nt b enuff soon coz my gal is drinking more..and anyone knows where to buy it at a cheaper cost?
btw hv been getting pampers at ntuc at $20.90....then over the long hols went to carrefour and saw newbaby S is $16.90...wah cant believe the $4 price diff!!!....wont buy ntuc anymore lor...feel cheated
hihi i am here. *waves*

went back to office this morn for half day then off till next mon..totally no mood to work then since husb not working so i also clear my ml...

went with husb and bb to city sq mall jus now.. now pumping

happy new year to everyone!
Ardenz, I also use pigeon warmer. another faster way but i dun really like it cos it kills nutrients is to use boiling hot water. Dip the bott into the hot water and swirl the bott. do a few times till the milk becomes warm. sometimes i use this method. I will put the pigeon warmer to 70 deg C and then siwrl the bott as i take it out

Actually AMK hub thr sell pampers even cheaper. Pampers NB S is at $14.90. the place is near AMK hub. you come out from the entrance near the old chang kee thr, walk towards those shops. the first cosmetic shop sells it. Think is venus or beauty language cannot rem. cos i only went thr one to buy. my MIL often helps me buy.

Raerae, I took this


It really works to increase ss. my supply has been increasing like 5-10ml increase per week per 3 hours.I buy direct from USA. But besides taking this, you need to punmp frequently also to increase ss. this only stimulate the production but to really increase, need to pump or latch more often
MM6j, i also pumpig now hahaha

think hor, after frequent pumping, my neh neh like longer. i so scare it will become papaya next time! i prefer neh neh to be rounder lei!
Thanks Rachelle! Sigh i can only try to pump more only coz now i working liao..hard to pump more often..

Juz a survey, how many times do the working mamas pump at work?!?
ya, working very hard to pump more. i also scare my ss will drop once i return to work. so tempted to just take no pay leave and stay at home to pump! haha i think when i return to work, i can only manage to pump 6 times a day (instead of the 8 i;m doing now). sigh..... talking abt giving mothers better support. if we cannot even have time to pump, how can?

Is it cos of the bah kwa and tarts and junk food? I feel that my milk supply was more these few days. think too oily.
Then try to cut down on heaty food. My boy is heaty so i try not to eat too much heaty stuff. Cause the food we eat really affects the baby. I also afraid my milk is heaty due to my lack of sleep.
dear all,

back to work for 2 wks.. and really super busy everyday.. work and then time to pump again.. then lunch then work, then pump, then go home.. everyday so busy!!

Any good baby monitors to recommend? i thinking to let baby sleeps on his own.. keke..

how much does ur baby drinks each time? mine still drinks 140ml..
Hmm, any one for u realising that bb is more cranky or cry more recently?
Mine did, n refuse to sleep or drink (more)...

He cannot sleep for long in his cot...before this, no issue, n no need to swaddle. V funny if I swaddle him now. Cos i find that he get startled (moro reflex) easily n wakes up, to suck his fingers. the more he suck, the more he cannot settle to sleep.
Yup mine also cried more than usual but after 2 days of staying at home and back to his routine, he's back to normal.
Post-CNY blues? hha, i thk happen to coincide his growth spurt with CNY and me moving back home after staying at my mum's place.
raerae, ya lor...thas why sometimes i juz ta bao back lunch to prevent myself from overspending :p btw i pump twice at work...how abt u? as for discharge, i have nil discharge now so save on pads and panty liners lor...

xuanxuan, welcome to the thread!
yes pls join us for the gathering...when was ur gal born?

ardenz, i use hot water in cup to warm ebm...i dun use bottle warmer...if i need it real fast...i will change the water after a few mins...

mm6j, so good to be on half day...envy

rachelle, i peifu u...still wanna pump 6 times after u return to work
i also ate lotsa junk food these few days but nvm la...the milk more oily lor :p actually hor, bfing is the time tha we can eat alot w/o gulit! hahhaha :p

taurus, but i couldnt help it leh cuz i love heaty food :p sometimes i feel i'm heaty when i woke up with dry throat etc lor

catechins, i'm using the avent bb monitor...so far so good as my gal had been sleeping alone in her room since she was back from hospital... as for ebm, she drinks abt 120ml every 3 hrly but at times she cant finish also

== Inserted here: data records ==
- - -
C9H4CaClF6NO6S2Te | ωB97M-V with the def2-TZVPD basis set

XYZ file:
```
31
Properties=species:S:1:pos:R:3:forces:R:3:lowdin_charge:R:1
Ca -0.350000 -0.392964 0.250314 0.580 1.173 -1.396 1.2072
Cl -6.388727 3.145044 -1.661044 0.169 -0.111 0.007 0.5714
C -4.909484 2.186831 -1.625150 -0.173 -0.096 -0.169 -0.6767
C -4.780583 1.085293 -2.488194 -0.154 0.125 0.029 -0.1223
C -3.644993 0.324904 -2.477118 0.006 0.025 0.140 -0.0136
C -2.555002 0.603744 -1.591657 0.301 -0.158 -0.373 -0.3847
O -1.516669 -0.145199 -1.591844 -0.672 0.259 -0.487 -0.2140
C -2.701532 1.762119 -0.767211 0.307 0.273 0.422 -0.1247
C -1.604703 2.312186 0.047326 -0.589 0.003 -0.445 -0.2105
O -0.451273 1.930204 0.065472 0.006 0.299 -0.099 -0.1249
C -3.886470 2.512295 -0.783271 0.008 0.098 0.089 -0.0891
H -5.595433 0.844702 -3.160963 0.008 0.001 0.014 0.0949
H -3.541034 -0.534062 -3.127377 -0.001 0.007 -0.003 0.1088
H -1.880942 3.194418 0.654775 -0.049 0.039 -0.046 0.1282
H -3.972398 3.372647 -0.127583 0.011 -0.022 -0.017 0.1080
F -2.076710 -3.026236 0.988056 -0.006 -0.040 -0.015 0.0343
C -1.508140 -3.065874 2.236883 0.166 0.209 -0.020 -0.6630
F -0.906631 -4.268794 2.323801 -0.022 -0.089 0.056 0.0789
F -2.544513 -3.084209 3.091128 -0.150 -0.054 0.038 0.0801
S -0.270019 -1.587897 2.482569 -0.434 -1.345 1.297 0.2302
O -1.446962 -0.652049 2.134264 0.306 -0.319 0.620 -0.6318
O 0.421890 -2.136713 1.198084 0.158 -0.659 1.027 -0.6932
N -0.253585 -2.065460 4.115055 0.607 -0.191 -0.285 -0.3718
S 0.753095 -3.041666 4.813638 -0.860 -0.044 -1.250 0.4952
O 0.056398 -4.081095 5.541311 0.138 0.168 0.070 -0.3275
O 1.915864 -3.432960 4.050641 -0.118 0.073 0.224 -0.3250
C 1.424128 -2.046421 6.193493 0.035 0.038 0.338 -0.6921
F 1.975188 -2.858675 7.129827 0.046 0.042 -0.017 0.0788
F 2.371197 -1.206692 5.801131 0.110 0.203 0.005 0.0870
F 0.461305 -1.346608 6.812883 0.041 0.040 0.047 0.1018
Te 1.435355 0.309769 2.635862 0.226 0.055 0.197 0.2599
```
Positions in Å, forces in eV/Å.

Values from the calculation:
HOMO ... -0.585 eV
Total charge ... -2
Energy relative to the best compared isomer or geometry (same formula, charge and spin) ... 20.4 kcal/mol
Maximum force ... 1.9 eV Å⁻¹
Kohn-Sham gap ... 4.498 eV
E ... -3653.04784 Eh

***

C9H4ClGaN3O2S4Sb | ωB97M-V with the def2-TZVPD basis set

XYZ file:
```
25
Properties=species:S:1:pos:R:3:forces:R:3:lowdin_charge:R:1
Ga 2.025040 -1.424640 0.730952 -0.074 -0.094 0.086 -0.4306
S 4.877640 0.530260 5.149452 0.174 -0.024 -0.259 -0.4335
Sb 4.641940 -0.517740 3.149352 -0.251 -0.044 0.525 0.3611
S 3.423140 -2.368840 -0.528848 -0.051 -0.002 0.091 -0.1209
S 2.167440 -1.089840 3.139352 -0.038 0.314 -0.408 -0.0526
S 3.418840 -2.612540 3.774152 0.363 -0.270 0.077 -0.1691
Cl -3.819460 1.259360 -3.081148 -0.302 -0.026 -0.197 0.6246
C -2.298360 1.336260 -2.249348 0.195 0.020 0.086 -0.6815
C -1.895260 2.544960 -1.704948 -0.102 -0.081 0.005 -0.1190
C -0.701560 2.599360 -1.011848 0.119 -0.089 0.017 -0.0221
C 0.081040 1.459560 -0.865448 0.106 0.081 0.114 -0.1131
- - -


got ur message on the sleep positioner.

By right, bb shd be adjusting well. duno why he get startled easily now after a few mins of sleep in the cot.
